Q&A with...
Andrew Hessel is a member of the bio/nano research group at Autodesk.
Someone pasted crystal structures at this point =
<<<
No. 1
The following is a DFT calculation (GGA-PBE) of a relaxed structure of Na14La4Ta4Si11SO48.

```
246
Lattice="18.872 0.012 -0.008 -4.713 8.164 0.014 -0.010 0.033 22.888" Properties=species:S:1:pos:R:3 pbc="T T T"
O 0.748 6.853 10.792
O 2.924 3.017 17.291
O 10.138 6.826 17.456
O 1.783 0.156 20.670
O -1.818 5.113 2.026
O 8.412 4.092 19.719
O -3.095 8.130 13.371
O 3.432 1.088 11.858
O 3.051 2.701 0.492
O 8.784 1.426 13.713
O 7.253 0.174 18.676
O -0.833 6.793 13.060
O 3.768 4.035 5.475
O 1.225 4.031 2.044
O 13.281 6.147 7.089
O 0.615 1.654 9.602
O 5.682 6.792 16.083
O 13.246 6.708 13.526
O 0.756 4.100 17.358
O 12.773 6.585 4.467
O 10.107 1.584 16.065
O 7.619 5.111 2.040
O 2.252 0.197 6.926
O 13.304 6.613 20.772
O 12.505 2.703 0.482
O 17.966 1.567 20.752
O 17.480 1.630 6.988
O 8.567 2.036 4.369
O 0.771 4.001 8.323
O 4.222 1.251 21.041
O 3.847 6.139 7.102
O 6.261 3.099 21.007
O 13.200 4.044 5.463
O 14.953 4.204 0.476
O -0.861 3.504 22.487
O 0.866 6.878 8.154
O 15.308 4.126 9.416
O 12.447 2.856 16.625
O 12.589 1.061 11.982
O 1.007 2.107 16.060
O 3.992 1.197 5.599
O 0.593 7.206 2.044
O 8.270 7.199 22.452
O 14.877 6.043 18.412
O 15.768 2.891 14.424
O 12.600 2.581 3.140
O 10.683 4.026 2.052
O 7.665 0.406 1.807
O 11.682 0.198 6.923
O 16.299 2.432 11.893
O 3.872 6.905 13.717
O -0.808 1.591 13.680
O -0.727 6.980 5.851
O 6.886 2.232 12.081
O 8.711 6.991 5.857
O 1.230 1.292 1.815
O 13.423 1.204 5.596
O 3.641 3.937 21.016
O 5.538 1.353 0.554
O 7.866 5.583 8.315
O 12.368 3.037 9.414
O 13.442 1.179 14.484
O 6.387 8.128 13.872
O 14.697 6.513 1.790
O -0.984 4.196 13.291
O 9.986 1.694 9.647
O -0.911 4.193 19.920
O 7.865 5.656 17.297
O 7.772 5.473 10.977
O 6.971 7.990 4.525
O 0.975 6.668 17.336
O 14.871 4.221 3.140
O 5.334 1.056 9.426
O 10.939 5.441 5.913
O 5.607 4.211 16.991
O 13.188 4.141 14.473
O -3.508 6.857 9.601
O 1.508 5.431 5.918
O -1.534 5.383 17.534
O 1.685 5.302 19.779
O 10.321 6.818 8.213
O 16.583 0.349 18.528
O -0.874 2.028 4.369
O 13.086 3.940 20.976
O 13.265 4.651 11.874
O 5.613 1.372 3.251
O 5.655 6.223 18.668
O 5.432 4.212 3.156
O 8.498 1.577 20.832
O 8.483 4.156 5.980
O -1.326 7.180 22.417
O 14.977 1.355 0.554
O 13.700 1.230 21.003
O 5.511 4.201 0.501
O 11.023 5.280 13.300
O -1.598 5.543 8.262
O 17.107 0.410 1.799
O 11.093 5.301 19.722
O 2.958 3.113 9.507
O 10.173 3.959 8.254
O 14.704 0.988 9.419
O 8.708 6.902 13.306
O 2.943 7.805 9.620
O 12.387 7.817 9.622
O 11.505 5.683 22.365
O 3.282 4.431 14.703
O 5.269 6.509 1.808
O 10.261 6.908 10.915
O 5.621 1.262 16.974
O 5.941 6.887 9.639
O 6.221 2.756 5.544
O -1.679 5.373 10.856
O 10.673 1.297 1.809
O 10.111 4.045 17.278
O 1.126 1.987 18.500
O 8.730 4.021 13.114
O 3.048 8.011 16.097
O 11.222 0.136 20.882
O 6.857 3.148 14.633
O 8.541 3.649 22.385
O 4.093 0.737 14.405
O 15.662 2.776 5.535
O 10.313 4.069 10.865
O 2.063 5.677 22.402
O -3.294 6.332 15.797
O 10.040 7.216 2.078
O 4.103 4.825 12.146
O 14.985 3.982 16.848
O 15.741 3.087 21.019
O -0.924 4.139 5.985
O 12.012 7.759 15.933
O 11.040 1.783 18.535
>>>
The piece goes on =
BDC: Why is Autodesk committed to the intersection of biology and design?
Andrew: Biology is our most sustainable technology. As a company, we are interested in the future of making things. We see the elegance, efficiency and diversity of biodesign and the potential of introducing these qualities into the engineered world.
BDC: What is Autodesk’s role at that intersection?
Autodesk is a leader in 3D design, engineering and entertainment software. At Autodesk Research, we're exploring tools biological design tools. Biology is an emerging area of engineering that is already quite dependent on software tools. Increasing sophistication of biological design will require even more sophistication in software, particularly in the areas of visualization and simulation.
BDC: What are the most exciting new applications you see coming from biotech in the next couple dozen years? And how are they going to change our lives?
I see exciting possibilities in materials, foods, and medicines. This is where biology has the greatest impact in our lives today and where having more creative control over biological systems is likely to produce meaningful improvements. Why refine crude oil and do downstream processing of petrochemicals when the exact materials can be biosynthesized in precise quantities? Why grow a whole cow when just the milk or meat is desired? Why make one-size-fits-all medicines in large batches when personalized therapies can be produced locally, perhaps even at home, on demand?
• These records of crystals were left in the text by mistake:
____________
The following is a DFT calculation (PBE) of a relaxed structure of NbReSi.

POSCAR file:
```
NbReSi
1.0
-3.5190 5.8093 3.3679
3.5190 -5.8093 3.3679
3.5190 5.8093 -3.3679
Nb Re Si
6 6 6
Direct
0.0034 0.2500 0.2534
0.4100 0.3751 0.5349
0.4215 0.8677 0.0538
0.8139 0.3677 0.9462
0.8402 0.8751 0.4651
0.9966 0.7500 0.7466
0.1601 0.3219 0.9092
0.1601 0.7509 0.3383
0.4127 0.2509 0.0908
0.4127 0.8219 0.6617
0.6618 0.1618 0.5000
0.6618 0.6618 0.0000
0.0819 0.4185 0.6714
0.0819 0.9104 0.1634
0.3721 0.1503 0.7218
0.4284 0.6503 0.2782
0.7471 0.4104 0.3286
0.7471 0.9185 0.8366
```


The following is a DFT calculation (PBE) of a relaxed structure of ZrS2.

POSCAR file:
```
ZrS2
1.0
3.6909 0.0000 0.0000
-1.8455 3.1964 0.0000
0.0000 0.0000 6.6111
Zr S
1 2
Direct
0.0000 0.0000 0.0000
0.3333 0.6667 0.7796
0.6667 0.3333 0.2204
```


The following is a DFT calculation (PBE) of a relaxed structure of BaSrTbTiO6.

POSCAR file:
```
BaSrTbTiO6
1.0
8.3953 0.0000 0.0000
0.0000 8.4119 0.0000
0.0000 0.0000 8.4218
Ba Sr Tb Ti O
4 4 4 4 24
Direct
0.0000 0.0000 0.0000
0.0000 0.0000 0.5000
0.0000 0.5000 0.0000
0.5000 0.5000 0.5000
0.0000 0.5000 0.5000
0.5000 0.0000 0.0000
0.5000 0.0000 0.5000
0.5000 0.5000 0.0000
0.2517 0.2509 0.7497
0.2517 0.7491 0.2503
0.7483 0.2509 0.2503
0.7483 0.7491 0.7497
0.2537 0.2525 0.2499
0.2537 0.7475 0.7501
0.7463 0.2525 0.7501
0.7463 0.7475 0.2499
0.0168 0.2636 0.2375
0.0168 0.7364 0.7625
0.2297 0.2775 0.4836
0.2297 0.7225 0.5164
0.2394 0.0161 0.2666
0.2394 0.9839 0.7334
0.2728 0.2308 0.0159
0.2728 0.7692 0.9841
0.2788 0.4835 0.2243
0.2788 0.5165 0.7757
0.4847 0.2227 0.2777
0.4847 0.7773 0.7223
0.5153 0.2227 0.7223
0.5153 0.7773 0.2777
0.7212 0.4835 0.7757
0.7212 0.5165 0.2243
0.7272 0.2308 0.9841
0.7272 0.7692 0.0159
0.7606 0.0161 0.7334
0.7606 0.9839 0.2666
0.7703 0.2775 0.5164
0.7703 0.7225 0.4836
0.9832 0.2636 0.7625
0.9832 0.7364 0.2375
```

Summary:
**M_tot**: 1.00 μB/f.u.


The following is a DFT calculation (PBE) of a relaxed structure of Mg3Ni20P6.

POSCAR file:
```
Mg3Ni20P6
1.0
0.0000 5.5459 5.5459
5.5459 0.0000 5.5459
5.5459 5.5459 0.0000
Mg Ni P
3 20 6
Direct
0.0000 0.0000 0.0000
0.2500 0.2500 0.2500
0.7500 0.7500 0.7500
0.0000 0.0000 0.3492
0.0000 0.0000 0.6508
0.0000 0.3492 0.0000
0.0000 0.3492 0.6508
0.0000 0.6508 0.0000
0.0000 0.6508 0.3492
0.1525 0.6158 0.6158
0.3492 0.0000 0.0000
0.3492 0.0000 0.6508
0.3492 0.6508 0.0000
0.3842 0.3842 0.3842
0.3842 0.3842 0.8475
0.3842 0.8475 0.3842
0.6158 0.1525 0.6158
0.6158 0.6158 0.1525
0.6158 0.6158 0.6158
0.6508 0.0000 0.0000
0.6508 0.0000 0.3492
0.6508 0.3492 0.0000
0.8475 0.3842 0.3842
0.2644 0.2644 0.7356
0.2644 0.7356 0.2644
0.2644 0.7356 0.7356
0.7356 0.2644 0.2644
0.7356 0.2644 0.7356
0.7356 0.7356 0.2644
```

Summary:
**M_tot**: 0.00 μB/f.u.


The following is a DFT calculation (PBE) of a relaxed structure of Cu2AgS2O10.

POSCAR file:
```
Cu2AgS2O10
1.0
4.4871 -3.0255 0.0000
4.4871 3.0255 0.0000
-4.3520 0.0000 7.0756
Cu Ag S O
2 1 2 10
Direct
0.0000 0.5000 0.0000
____________
BDC: Tell us a little something about the Autodesk Prize for best rendering?
A key aspect of our tools is for designers to be able to experience their ideas before they are made real. Digital rendering is a big part of this experience, and excellence here is something we want to recognize. After all, seeing is believing.
BDC: Why is making biotech more accessible to young artists and designers so important?
Artists and designers can explore technologies with fewer constraints than scientists or engineers, and take us further into our imagination of the future.
BDC: What do you hope the students will discover as they go through the competition?
I hope the students find a new appreciation for all living things.
(Someone pasted materials data at this point)
- - -
No. 1
A plane-wave DFT calculation with PBE-GGA was carried out for KGdCO3F2 after structural relaxation. Values from VASP.

Structure (Quantum ESPRESSO input):
```
&SYSTEM
  ibrav = 0, nat = 32, ntyp = 5
/
ATOMIC_SPECIES
K 39.10 K.upf
Gd 157.25 Gd.upf
C 12.01 C.upf
O 16.00 O.upf
F 19.00 F.upf
ATOMIC_POSITIONS crystal
K 0.0427 0.0427 0.2073
K 0.2073 0.2073 0.0427
K 0.7927 0.7927 0.9573
K 0.9573 0.9573 0.7927
Gd 0.1923 0.5577 0.1923
Gd 0.4423 0.8077 0.4423
Gd 0.5577 0.1923 0.5577
Gd 0.8077 0.4423 0.8077
C 0.2528 0.2528 0.4972
C 0.4972 0.4972 0.2528
C 0.5028 0.5028 0.7472
C 0.7472 0.7472 0.5028
O 0.0634 0.3850 0.6851
O 0.3123 0.3123 0.4377
O 0.3149 0.6335 0.9366
O 0.3665 0.6851 0.3850
O 0.3850 0.0634 0.3665
O 0.4377 0.4377 0.3123
O 0.5623 0.5623 0.6877
O 0.6150 0.9366 0.6335
O 0.6335 0.3149 0.6150
O 0.6851 0.3665 0.0634
O 0.6877 0.6877 0.5623
O 0.9366 0.6150 0.3149
F 0.0683 0.1493 0.4730
F 0.1493 0.0683 0.8094
F 0.1906 0.5270 0.8507
F 0.4730 0.8094 0.0683
F 0.5270 0.1906 0.9317
F 0.8094 0.4730 0.1493
F 0.8507 0.9317 0.1906
F 0.9317 0.8507 0.5270
CELL_PARAMETERS angstrom
0.0000 5.6636 11.0406
3.5326 0.0000 11.0406
3.5326 5.6636 0.0000
```

Results
- Distance to the lowest polymorph of the same formula: 0.000 eV/atom


No. 2
A plane-wave DFT calculation with PBE-GGA was carried out for MgSi2 after structural relaxation. Values from VASP.

Structure (Quantum ESPRESSO input):
```
&SYSTEM
  ibrav = 0, nat = 6, ntyp = 2
/
ATOMIC_SPECIES
Mg 24.30 Mg.upf
Si 28.09 Si.upf
ATOMIC_POSITIONS crystal
Mg 0.1927 0.4063 0.2089
Mg 0.8073 0.5937 0.7911
Si 0.1262 0.9915 0.7596
Si 0.4377 0.7568 0.3536
Si 0.5623 0.2432 0.6464
Si 0.8738 0.0085 0.2404
CELL_PARAMETERS angstrom
4.4636 0.0000 0.0000
2.0463 4.6441 0.0000
2.1781 1.1316 4.9795
```

Results
- Distance to the lowest polymorph of the same formula: 0.119 eV/atom


No. 3
A plane-wave DFT calculation with PBE-GGA was carried out for Na4ScZnP3O12 after structural relaxation. Values from VASP.

Structure (Quantum ESPRESSO input):
```
&SYSTEM
  ibrav = 0, nat = 126, ntyp = 5
/
ATOMIC_SPECIES
O 16.00 O.upf
Na 22.99 Na.upf
P 30.97 P.upf
Zn 65.41 Zn.upf
Sc 44.96 Sc.upf
ATOMIC_POSITIONS crystal
O 0.0116 0.1880 0.9134
O 0.8564 0.5035 0.4208
O 0.3449 0.8547 0.5801
O 0.1222 0.6433 0.3613
O 0.8067 0.7816 0.3093
O 0.5098 0.8547 0.0801
O 0.1764 0.9884 0.9134
O 0.6471 0.5035 0.9208
O 0.3083 0.4483 0.4760
O 0.3083 0.8600 0.9760
O 0.1222 0.4789 0.8613
O 0.8431 0.3218 0.2467
O 0.1453 0.4902 0.5801
O 0.3137 0.8368 0.2541
O 0.8851 0.5267 0.1426
O 0.3567 0.8778 0.8613
O 0.5211 0.8778 0.3613
O 0.0233 0.8122 0.6946
O 0.9804 0.8102 0.0874
O 0.2184 0.1933 0.8093
O 0.9749 0.7816 0.8093
O 0.1632 0.6863 0.7541
O 0.8067 0.0251 0.8093
O 0.7889 0.9767 0.6946
O 0.5517 0.8600 0.4760
O 0.0116 0.8236 0.4134
O 0.6782 0.1569 0.7467
O 0.1878 0.2111 0.6946
O 0.5098 0.6551 0.5801
O 0.3137 0.4769 0.7541
O 0.6471 0.1436 0.4208
O 0.1400 0.6917 0.4760
O 0.1400 0.4483 0.9760
O 0.1764 0.1880 0.4134
O 0.4787 0.1569 0.2467
O 0.8120 0.9884 0.4134
- - -
Autodesk, Inc. is a leader in 3D design, engineering and entertainment software. Since its introduction of AutoCAD software in 1982, Autodesk continues to develop the broadest portfolio of 3D software for global markets. Customers across the manufacturing, architecture, building, construction, and media and entertainment industries—including the last 19 Academy Award winners for Best Visual Effects—use Autodesk software to design, visualize, and simulate their ideas before they're ever built or created. From blockbuster visual effects and buildings that create their own energy, to electric cars and the batteries that power them, the work of our 3D software customers is everywhere you look. Through apps for iPhone, iPad, iPod, and Android, Autodesk is also making design technology accessible to professional designers and amateur designers, homeowners, students, and casual creators — anyone who wants to create and share their ideas with the world.
Banner image: National Institute of Allergy and Infectious Diseases